## Data
~~~
Formula: C5H15N2O
Source: the Open Molecules 2025 dataset
Level of theory: ωB97M-V with the def2-TZVPD basis set

Geometry as XYZ:
```
23
Properties=species:S:1:pos:R:3:forces:R:3
C 1.102 2.178 -1.777 0.7 -0.9 0.8
C 0.237 1.209 -0.942 -0.5 0.7 -0.8
C 0.812 0.932 0.435 0.9 0.2 -0.1
C 0.021 -0.122 1.142 1.4 1.5 0.7
C 0.567 -1.259 1.533 -1.6 -1.1 -1.0
N -0.385 -2.256 2.136 1.7 0.6 1.0
N -0.088 -0.048 -1.654 -0.5 0.7 1.1
H 1.066 1.937 -2.831 -0.3 0.1 -0.3
H 0.818 3.197 -1.593 -0.1 0.5 -0.1
H 2.150 2.067 -1.489 0.1 0.1 -0.1
H -0.719 1.736 -0.831 -0.1 -0.2 0.2
H 1.884 0.720 0.386 0.0 -0.8 -0.4
H 0.902 1.851 1.025 -0.8 0.0 0.0
H -0.946 0.246 1.432 -0.4 -0.5 0.2
H 1.360 -1.768 1.023 0.8 0.2 0.4
H -0.598 -3.021 1.525 -0.3 -0.6 -0.5
H -0.080 -2.591 3.052 0.4 -0.4 -0.2
H -1.199 -1.752 2.356 -1.9 0.7 -0.1
H 0.652 -0.728 -1.563 0.2 0.0 -0.7
H -0.308 0.240 -2.596 0.3 -0.7 -0.4
H -3.111 -0.681 -0.041 -0.4 -0.3 0.3
H -1.825 -0.873 -0.749 0.6 -0.2 0.0
O -2.313 -1.215 0.022 -0.3 0.3 -0.2
```
Positions in Å, forces in eV/Å.

Summary:
E_tot, eV: -10448.794
LUMO level, eV: -3.2
Orbital gap, Ha: 0.36328
Total charge: +1
Highest occupied orbital energy, eV: -13.05

~~~~~

(i)
Formula: C3H9NO2S2
Source: OMol25
Level of theory: the ωB97M-V functional and the def2-TZVPD basis

Structure (ORCA input):
```
! wB97M-V def2-TZVPD RIJCOSX def2/J DEFGRID3
* xyz 0 1
N 1.596 -2.659 -1.059
C 0.538 -2.268 -0.280
O -0.646 -2.162 -0.929
O 0.602 -2.123 0.907
H 2.478 -2.604 -0.575
H 1.630 -2.400 -2.029
H -0.536 -2.324 -1.873
C 0.790 2.361 0.684
C -0.350 1.394 0.361
S -1.687 1.680 1.545
S -3.092 0.296 0.983
H 1.187 2.188 1.680
H 0.451 3.396 0.629
H 1.604 2.241 -0.027
H -0.034 0.356 0.468
H -0.708 1.546 -0.655
H -3.825 1.082 0.169
*
```

Computed properties:
* molar mass: 155.24 g/mol
* HOMO level: -8.776 eV
* SMILES: NC(=O)O.CCSS

(ii)
Formula: C3H9NO2S2
Source: OMol25
Level of theory: the ωB97M-V functional and the def2-TZVPD basis

Structure (ORCA input):
```
! wB97M-V def2-TZVPD RIJCOSX def2/J DEFGRID3
* xyz 0 1
C -1.139 -2.163 -0.692
C 2.087 0.395 0.138
C 0.870 0.276 1.080
N -0.703 1.284 -0.872
O 0.259 2.881 0.879
O -1.545 1.369 1.475
S 0.555 -0.590 2.358
S -0.364 1.582 0.712
H -0.254 -2.654 -0.671
H -2.071 -2.820 -0.484
H -1.362 -1.746 -1.555
H 2.922 0.476 0.874
H 2.089 -0.558 -0.334
H 1.844 1.225 -0.430
H -0.739 1.927 -1.566
H -1.278 0.428 -0.997
H -1.172 -1.314 0.084
*
```

Computed properties:
* molar mass: 155.24 g/mol
* HOMO level: -9.200 eV
* SMILES: CC(=S)S(N)(=O)=O.C

Most favorable first, least favorable last: (i), (ii)

(i)
Formula: C2H2O2
Source: OMol25
Level of theory: the ωB97M-V functional and the def2-TZVPD basis

Structure (ORCA input):
```
! wB97M-V def2-TZVPD RIJCOSX def2/J DEFGRID3
* xyz 0 1
C 0.032 -0.094 -0.684
C -0.119 0.084 0.681
O 0.770 -0.997 0.110
O 0.558 1.110 -0.060
H -0.498 -0.123 -1.547
H -0.742 0.021 1.500
*
```

Computed properties:
* molar mass: 58.04 g/mol
* HOMO level: -9.789 eV
* SMILES: O1[C@H]2O[C@@H]12

(ii)
Formula: C2H2O2
Source: OMol25
Level of theory: the ωB97M-V functional and the def2-TZVPD basis

Structure (ORCA input):
```
! wB97M-V def2-TZVPD RIJCOSX def2/J DEFGRID3
* xyz 0 1
C -1.615 -0.266 0.691
C -0.085 -0.469 0.032
O -2.313 -0.850 1.371
O 0.114 -1.711 0.056
H -0.146 0.052 -0.939
H 0.427 0.171 0.788
*
```

Computed properties:
* molar mass: 58.04 g/mol
* HOMO level (alpha / beta): -9.606 / -9.606 eV

Most favorable first, least favorable last: (ii), (i)

(i)
Formula: C3H8N2O2S
Source: OMol25
Level of theory: the ωB97M-V functional and the def2-TZVPD basis

Structure (ORCA input):
```
! wB97M-V def2-TZVPD RIJCOSX def2/J DEFGRID3
* xyz 0 1
C 2.043 0.613 0.073
C -0.068 -0.073 0.244
C -2.091 -1.339 -0.256
H 2.344 -0.257 -0.478
H 2.389 0.649 1.208
H 2.779 1.322 -0.395
H 0.554 1.633 1.602
H -2.751 -1.735 -1.186
H -1.962 -2.069 0.821
H -2.658 -0.305 0.206
H -0.377 1.015 -2.471
N -0.227 -0.176 1.572
N -0.875 -0.670 -0.722
O 0.626 1.005 -0.216
O 0.509 0.968 2.378
S -0.234 -0.581 -2.379
*
```

Computed properties:
~~~

## What to do
Now copy all of the entries further up with every line break kept.

## Worked solution
Formula: C5H15N2O
Source: the Open Molecules 2025 dataset
Level of theory: ωB97M-V with the def2-TZVPD basis set

Geometry as XYZ:
```
23
Properties=species:S:1:pos:R:3:forces:R:3
C 1.102 2.178 -1.777 0.7 -0.9 0.8
C 0.237 1.209 -0.942 -0.5 0.7 -0.8
C 0.812 0.932 0.435 0.9 0.2 -0.1
C 0.021 -0.122 1.142 1.4 1.5 0.7
C 0.567 -1.259 1.533 -1.6 -1.1 -1.0
N -0.385 -2.256 2.136 1.7 0.6 1.0
N -0.088 -0.048 -1.654 -0.5 0.7 1.1
H 1.066 1.937 -2.831 -0.3 0.1 -0.3
H 0.818 3.197 -1.593 -0.1 0.5 -0.1
H 2.150 2.067 -1.489 0.1 0.1 -0.1
H -0.719 1.736 -0.831 -0.1 -0.2 0.2
H 1.884 0.720 0.386 0.0 -0.8 -0.4
H 0.902 1.851 1.025 -0.8 0.0 0.0
H -0.946 0.246 1.432 -0.4 -0.5 0.2
H 1.360 -1.768 1.023 0.8 0.2 0.4
H -0.598 -3.021 1.525 -0.3 -0.6 -0.5
H -0.080 -2.591 3.052 0.4 -0.4 -0.2
H -1.199 -1.752 2.356 -1.9 0.7 -0.1
H 0.652 -0.728 -1.563 0.2 0.0 -0.7
H -0.308 0.240 -2.596 0.3 -0.7 -0.4
H -3.111 -0.681 -0.041 -0.4 -0.3 0.3
H -1.825 -0.873 -0.749 0.6 -0.2 0.0
O -2.313 -1.215 0.022 -0.3 0.3 -0.2
```
Positions in Å, forces in eV/Å.

Summary:
E_tot, eV: -10448.794
LUMO level, eV: -3.2
Orbital gap, Ha: 0.36328
Total charge: +1
Highest occupied orbital energy, eV: -13.05

~~~~~

(i)
Formula: C3H9NO2S2
Source: OMol25
Level of theory: the ωB97M-V functional and the def2-TZVPD basis

Structure (ORCA input):
```
! wB97M-V def2-TZVPD RIJCOSX def2/J DEFGRID3
* xyz 0 1
N 1.596 -2.659 -1.059
C 0.538 -2.268 -0.280
O -0.646 -2.162 -0.929
O 0.602 -2.123 0.907
H 2.478 -2.604 -0.575
H 1.630 -2.400 -2.029
H -0.536 -2.324 -1.873
C 0.790 2.361 0.684
C -0.350 1.394 0.361
S -1.687 1.680 1.545
S -3.092 0.296 0.983
H 1.187 2.188 1.680
H 0.451 3.396 0.629
H 1.604 2.241 -0.027
H -0.034 0.356 0.468
H -0.708 1.546 -0.655
H -3.825 1.082 0.169
*
```

Computed properties:
* molar mass: 155.24 g/mol
* HOMO level: -8.776 eV
* SMILES: NC(=O)O.CCSS

(ii)
Formula: C3H9NO2S2
Source: OMol25
Level of theory: the ωB97M-V functional and the def2-TZVPD basis

Structure (ORCA input):
```
! wB97M-V def2-TZVPD RIJCOSX def2/J DEFGRID3
* xyz 0 1
C -1.139 -2.163 -0.692
C 2.087 0.395 0.138
C 0.870 0.276 1.080
N -0.703 1.284 -0.872
O 0.259 2.881 0.879
O -1.545 1.369 1.475
S 0.555 -0.590 2.358
S -0.364 1.582 0.712
H -0.254 -2.654 -0.671
H -2.071 -2.820 -0.484
H -1.362 -1.746 -1.555
H 2.922 0.476 0.874
H 2.089 -0.558 -0.334
H 1.844 1.225 -0.430
H -0.739 1.927 -1.566
H -1.278 0.428 -0.997
H -1.172 -1.314 0.084
*
```

Computed properties:
* molar mass: 155.24 g/mol
* HOMO level: -9.200 eV
* SMILES: CC(=S)S(N)(=O)=O.C

Most favorable first, least favorable last: (i), (ii)

(i)
Formula: C2H2O2
Source: OMol25
Level of theory: the ωB97M-V functional and the def2-TZVPD basis

Structure (ORCA input):
```
! wB97M-V def2-TZVPD RIJCOSX def2/J DEFGRID3
* xyz 0 1
C 0.032 -0.094 -0.684
C -0.119 0.084 0.681
O 0.770 -0.997 0.110
O 0.558 1.110 -0.060
H -0.498 -0.123 -1.547
H -0.742 0.021 1.500
*
```

Computed properties:
* molar mass: 58.04 g/mol
* HOMO level: -9.789 eV
* SMILES: O1[C@H]2O[C@@H]12

(ii)
Formula: C2H2O2
Source: OMol25
Level of theory: the ωB97M-V functional and the def2-TZVPD basis

Structure (ORCA input):
```
! wB97M-V def2-TZVPD RIJCOSX def2/J DEFGRID3
* xyz 0 1
C -1.615 -0.266 0.691
C -0.085 -0.469 0.032
O -2.313 -0.850 1.371
O 0.114 -1.711 0.056
H -0.146 0.052 -0.939
H 0.427 0.171 0.788
*
```

Computed properties:
* molar mass: 58.04 g/mol
* HOMO level (alpha / beta): -9.606 / -9.606 eV

Most favorable first, least favorable last: (ii), (i)

(i)
Formula: C3H8N2O2S
Source: OMol25
Level of theory: the ωB97M-V functional and the def2-TZVPD basis

Structure (ORCA input):
```
! wB97M-V def2-TZVPD RIJCOSX def2/J DEFGRID3
* xyz 0 1
C 2.043 0.613 0.073
C -0.068 -0.073 0.244
C -2.091 -1.339 -0.256
H 2.344 -0.257 -0.478
H 2.389 0.649 1.208
H 2.779 1.322 -0.395
H 0.554 1.633 1.602
H -2.751 -1.735 -1.186
H -1.962 -2.069 0.821
H -2.658 -0.305 0.206
H -0.377 1.015 -2.471
N -0.227 -0.176 1.572
N -0.875 -0.670 -0.722
O 0.626 1.005 -0.216
O 0.509 0.968 2.378
S -0.234 -0.581 -2.379
*
```

Computed properties: